Data
********
This record from OMol25 describes a 5-piece molecular cluster, C4H14O4 overall. The level of theory is ωB97M-V/def2-TZVPD.

Geometry as XYZ:
```
22
Properties=species:S:1:pos:R:3:forces:R:3:lowdin_charge:R:1
H 3.941 -0.638 -0.448 0.1 0.0 -0.5 0.105
H -2.064 -1.241 0.872 0.6 -0.2 0.2 -0.019
C 1.065 1.755 1.966 -0.7 0.7 0.2 0.184
H -3.377 -1.401 1.704 0.2 0.1 -0.2 0.059
O -0.347 -0.464 -2.225 0.1 -0.3 0.3 -0.074
H -3.498 -1.475 -1.752 -0.2 -1.3 -0.5 0.044
H -0.170 -0.040 0.866 -0.3 -0.1 -0.1 0.019
H 1.372 2.230 -0.080 0.6 0.3 0.1 0.145
O -3.186 -0.593 -1.894 0.1 0.7 0.5 -0.042
O -0.310 -0.960 0.625 0.5 -0.1 0.3 -0.042
C 3.329 0.250 -0.520 0.0 0.4 0.4 0.242
C 1.678 1.612 0.760 -0.1 -1.0 -0.6 -0.086
H -0.272 -0.962 -0.342 0.1 0.0 -0.6 0.021
C 2.479 0.473 0.555 -0.1 -0.6 -0.5 -0.066
H -3.432 -0.279 -1.012 0.2 0.6 0.2 0.030
H 0.353 2.567 2.070 0.1 0.0 0.3 0.109
H 2.365 -0.398 1.200 0.2 0.5 0.5 0.134
O -2.966 -0.940 0.962 -1.2 0.3 0.1 -0.060
H -0.381 -1.265 -2.768 0.1 0.3 0.0 0.066
H -1.287 -0.295 -2.035 -0.3 0.0 -0.3 0.009
H 3.479 0.976 -1.310 0.0 -0.1 -0.1 0.110
H 1.229 1.091 2.805 0.1 0.0 0.0 0.114
```
Positions in Å, forces in eV/Å.

## Properties
**Multiplicity**: 2
**LUMO (alpha / beta)**: -0.2072 / -0.3139 Eh
**Charge**: +1
**Energy relative to the best compared isomer or geometry (same formula, charge and spin)**: 9.01 kcal/mol
**E_HOMO (alpha / beta)**: -14.0 / -14.0 eV
**Kohn-Sham gap (alpha / beta)**: 8.38 / 5.48 eV
**⟨S²⟩**: 0.79

----------

A cluster of 8 separate species, C43H51BrFNO23 in total at a distorted geometry. Source: the OMol25 dataset; level of theory: ωB97M-V/def2-TZVPD.

Geometry as XYZ:
```
120
Properties=species:S:1:pos:R:3:forces:R:3
N -1.2749 -2.2586 2.0125 -0.3 -1.1 0.4
C -1.5252 -2.0620 3.4508 -0.1 0.9 0.4
C -2.9703 -1.5890 3.8316 -1.4 0.9 1.3
C -3.0617 -0.5975 4.9294 -2.0 -0.2 -0.6
C -4.3324 -0.0668 5.4218 -0.3 -1.4 -1.7
C -5.5775 -0.5429 4.8263 1.3 -0.9 -0.8
C -5.5320 -1.5306 3.7175 1.3 0.7 1.0
C -4.2301 -2.0534 3.2390 -0.4 1.5 1.4
Br -4.2452 -3.3876 1.8217 0.0 0.7 1.0
C -6.8994 -1.9465 3.1331 -0.6 0.1 0.8
O -7.1261 -2.2614 1.9875 0.6 0.2 0.6
C -8.1140 -1.9376 4.1319 -0.5 -0.2 0.6
C -9.1722 -2.9045 3.8622 -0.6 1.1 1.7
C -10.3111 -2.9407 4.7705 2.1 1.8 0.4
F -11.3248 -3.8259 4.5183 1.1 1.1 0.5
C -10.3539 -2.0336 5.9346 1.1 -0.4 -1.5
C -9.2759 -1.0598 6.1729 -0.3 -1.4 -1.6
C -8.1416 -0.9990 5.2528 -1.1 -1.4 -0.4
C -6.9512 -0.0114 5.3639 0.2 -0.8 -0.5
O -7.0593 1.1111 5.8091 0.0 -0.8 0.0
H -1.3647 -3.2718 1.8310 0.1 0.9 -0.1
H -1.9750 -1.7900 1.4316 0.3 -0.1 0.4
H -1.2506 -2.9606 4.0784 -0.4 0.7 -0.9
H -0.8209 -1.2417 3.7913 -0.9 -0.8 -0.1
H -2.1434 -0.2028 5.4332 -0.8 -0.7 -0.8
H -4.4184 0.6965 6.2349 0.3 -0.8 -0.9
H -9.1255 -3.6114 3.0014 0.1 0.8 0.8
H -11.2391 -2.1382 6.6070 1.0 0.3 -0.6
H -9.3365 -0.3923 7.0605 0.1 -0.6 -0.9
C 2.3204 -0.1168 8.4008 0.2 -0.3 0.1
C 1.1838 -0.5804 7.5195 0.7 0.4 0.5
C -0.1761 -0.1298 7.9754 -0.3 0.4 -0.1
O -1.0255 -1.1364 7.4238 0.3 -0.3 0.0
C -0.2725 -2.2719 7.3296 -0.1 -0.5 -0.1
O -0.7102 -3.3468 7.0745 0.1 0.3 0.1
O 1.0419 -2.0031 7.5640 -0.6 0.0 -0.2
H 3.2372 -0.6563 8.1577 0.0 0.1 -0.1
H 2.4963 0.9526 8.2735 0.0 0.0 0.0
H 2.1096 -0.3115 9.4546 -0.1 0.0 -0.1
H 1.3750 -0.2995 6.4790 -0.1 0.0 0.0
H -0.4416 0.8557 7.5940 -0.2 -0.1 -0.1
H -0.2960 -0.1367 9.0630 0.2 0.0 0.0
C 4.2336 -4.7062 0.2332 0.0 -0.4 0.0
C 2.9429 -4.0762 0.6989 0.8 -0.1 -0.4
C 2.9434 -3.6687 2.1430 0.2 0.4 0.2
O 1.5527 -3.7150 2.4640 -0.2 -0.4 -0.2
C 0.9924 -4.6410 1.6381 -0.2 0.0 0.0
O -0.1205 -5.0587 1.7535 0.2 0.0 0.0
O 1.8643 -5.0220 0.6692 -0.6 0.1 0.5
H 4.0974 -5.1843 -0.7378 0.0 0.2 0.0
H 5.0205 -3.9558 0.1490 -0.1 0.0 -0.1
H 4.5667 -5.4848 0.9246 -0.1 0.1 0.1
H 2.6727 -3.2458 0.0440 0.0 -0.1 0.3
H 3.3470 -2.6689 2.2971 -0.2 0.0 0.0
H 3.4711 -4.3723 2.7953 0.0 0.0 -0.1
C 6.3331 -4.0399 -4.3747 0.2 0.0 0.3
C 4.9515 -3.5536 -4.0039 0.8 -0.4 -0.4
C 4.5889 -2.2177 -4.5867 -0.1 0.2 -0.5
O 3.6214 -1.7388 -3.6520 0.1 -0.2 0.5
C 3.9206 -2.3112 -2.4549 0.0 0.2 0.2
********
Activity
Find the line further above that holds "1.966 -0.7", then set down that line and all lines after it there.
Result
C 1.065 1.755 1.966 -0.7 0.7 0.2 0.184
H -3.377 -1.401 1.704 0.2 0.1 -0.2 0.059
O -0.347 -0.464 -2.225 0.1 -0.3 0.3 -0.074
H -3.498 -1.475 -1.752 -0.2 -1.3 -0.5 0.044
H -0.170 -0.040 0.866 -0.3 -0.1 -0.1 0.019
H 1.372 2.230 -0.080 0.6 0.3 0.1 0.145
O -3.186 -0.593 -1.894 0.1 0.7 0.5 -0.042
O -0.310 -0.960 0.625 0.5 -0.1 0.3 -0.042
C 3.329 0.250 -0.520 0.0 0.4 0.4 0.242
C 1.678 1.612 0.760 -0.1 -1.0 -0.6 -0.086
H -0.272 -0.962 -0.342 0.1 0.0 -0.6 0.021
C 2.479 0.473 0.555 -0.1 -0.6 -0.5 -0.066
H -3.432 -0.279 -1.012 0.2 0.6 0.2 0.030
H 0.353 2.567 2.070 0.1 0.0 0.3 0.109
H 2.365 -0.398 1.200 0.2 0.5 0.5 0.134
O -2.966 -0.940 0.962 -1.2 0.3 0.1 -0.060
H -0.381 -1.265 -2.768 0.1 0.3 0.0 0.066
H -1.287 -0.295 -2.035 -0.3 0.0 -0.3 0.009
H 3.479 0.976 -1.310 0.0 -0.1 -0.1 0.110
H 1.229 1.091 2.805 0.1 0.0 0.0 0.114
```
Positions in Å, forces in eV/Å.

## Properties
**Multiplicity**: 2
**LUMO (alpha / beta)**: -0.2072 / -0.3139 Eh
**Charge**: +1
**Energy relative to the best compared isomer or geometry (same formula, charge and spin)**: 9.01 kcal/mol
**E_HOMO (alpha / beta)**: -14.0 / -14.0 eV
**Kohn-Sham gap (alpha / beta)**: 8.38 / 5.48 eV
**⟨S²⟩**: 0.79

----------

A cluster of 8 separate species, C43H51BrFNO23 in total at a distorted geometry. Source: the OMol25 dataset; level of theory: ωB97M-V/def2-TZVPD.

Geometry as XYZ:
```
120
Properties=species:S:1:pos:R:3:forces:R:3
N -1.2749 -2.2586 2.0125 -0.3 -1.1 0.4
C -1.5252 -2.0620 3.4508 -0.1 0.9 0.4
C -2.9703 -1.5890 3.8316 -1.4 0.9 1.3
C -3.0617 -0.5975 4.9294 -2.0 -0.2 -0.6
C -4.3324 -0.0668 5.4218 -0.3 -1.4 -1.7
C -5.5775 -0.5429 4.8263 1.3 -0.9 -0.8
C -5.5320 -1.5306 3.7175 1.3 0.7 1.0
C -4.2301 -2.0534 3.2390 -0.4 1.5 1.4
Br -4.2452 -3.3876 1.8217 0.0 0.7 1.0
C -6.8994 -1.9465 3.1331 -0.6 0.1 0.8
O -7.1261 -2.2614 1.9875 0.6 0.2 0.6
C -8.1140 -1.9376 4.1319 -0.5 -0.2 0.6
C -9.1722 -2.9045 3.8622 -0.6 1.1 1.7
C -10.3111 -2.9407 4.7705 2.1 1.8 0.4
F -11.3248 -3.8259 4.5183 1.1 1.1 0.5
C -10.3539 -2.0336 5.9346 1.1 -0.4 -1.5
C -9.2759 -1.0598 6.1729 -0.3 -1.4 -1.6
C -8.1416 -0.9990 5.2528 -1.1 -1.4 -0.4
C -6.9512 -0.0114 5.3639 0.2 -0.8 -0.5
O -7.0593 1.1111 5.8091 0.0 -0.8 0.0
H -1.3647 -3.2718 1.8310 0.1 0.9 -0.1
H -1.9750 -1.7900 1.4316 0.3 -0.1 0.4
H -1.2506 -2.9606 4.0784 -0.4 0.7 -0.9
H -0.8209 -1.2417 3.7913 -0.9 -0.8 -0.1
H -2.1434 -0.2028 5.4332 -0.8 -0.7 -0.8
H -4.4184 0.6965 6.2349 0.3 -0.8 -0.9
H -9.1255 -3.6114 3.0014 0.1 0.8 0.8
H -11.2391 -2.1382 6.6070 1.0 0.3 -0.6
H -9.3365 -0.3923 7.0605 0.1 -0.6 -0.9
C 2.3204 -0.1168 8.4008 0.2 -0.3 0.1
C 1.1838 -0.5804 7.5195 0.7 0.4 0.5
C -0.1761 -0.1298 7.9754 -0.3 0.4 -0.1
O -1.0255 -1.1364 7.4238 0.3 -0.3 0.0
C -0.2725 -2.2719 7.3296 -0.1 -0.5 -0.1
O -0.7102 -3.3468 7.0745 0.1 0.3 0.1
O 1.0419 -2.0031 7.5640 -0.6 0.0 -0.2
H 3.2372 -0.6563 8.1577 0.0 0.1 -0.1
H 2.4963 0.9526 8.2735 0.0 0.0 0.0
H 2.1096 -0.3115 9.4546 -0.1 0.0 -0.1
H 1.3750 -0.2995 6.4790 -0.1 0.0 0.0
H -0.4416 0.8557 7.5940 -0.2 -0.1 -0.1
H -0.2960 -0.1367 9.0630 0.2 0.0 0.0
C 4.2336 -4.7062 0.2332 0.0 -0.4 0.0
C 2.9429 -4.0762 0.6989 0.8 -0.1 -0.4
C 2.9434 -3.6687 2.1430 0.2 0.4 0.2
O 1.5527 -3.7150 2.4640 -0.2 -0.4 -0.2
C 0.9924 -4.6410 1.6381 -0.2 0.0 0.0
O -0.1205 -5.0587 1.7535 0.2 0.0 0.0
O 1.8643 -5.0220 0.6692 -0.6 0.1 0.5
H 4.0974 -5.1843 -0.7378 0.0 0.2 0.0
H 5.0205 -3.9558 0.1490 -0.1 0.0 -0.1
H 4.5667 -5.4848 0.9246 -0.1 0.1 0.1
H 2.6727 -3.2458 0.0440 0.0 -0.1 0.3
H 3.3470 -2.6689 2.2971 -0.2 0.0 0.0
H 3.4711 -4.3723 2.7953 0.0 0.0 -0.1
C 6.3331 -4.0399 -4.3747 0.2 0.0 0.3
C 4.9515 -3.5536 -4.0039 0.8 -0.4 -0.4
C 4.5889 -2.2177 -4.5867 -0.1 0.2 -0.5
O 3.6214 -1.7388 -3.6520 0.1 -0.2 0.5
C 3.9206 -2.3112 -2.4549 0.0 0.2 0.2